NEWRY — While working on the March town meeting warrant Tuesday night, selectmen decided to include a request for $10,000 from The Mountain Explorer shuttle bus but not include a recommendation.

The free public transit program between Bethel and Newry takes people to work, to Sunday River Ski Resort to ski or snowboard, and to dinner at restaurants.

Town Administrator Loretta Powers said that according to a letter to the board from Pat Roma of the Mountain Explorer Committee, they requested $5,000 last year at town meeting and Newry voters approved it.

This year, she said, reading an email from Roma into the record, they are asking for a minimum of $10,000 for next year, subject to approval at town meeting, because its funding from the state was reduced.

“As a reminder, the benefits of this service are: reduction of vehicles on the roads, especially during periods of high traffic to and from the ski area, helps attract visitors to the area, benefits area business owners and their employees, also offers a safe and reliable option for tourists and locals alike, daytime and nighttime,” Roma wrote.

Powers said she placed the $10,000 in the budget as a line item, figuring selectmen would tweak it Tuesday night.


When Board of Selectmen Chairman Wendy Hanscom asked if Bethel was also donating to the transit program, Powers said it is and she believes it’s the same amount as Newry.

Fire Chief Bruce Pierce asked for ridership statistics.

Hanscom said the committee has provided those in the past, but nothing recently.

Selectman Brooks Morton had reservations about the higher request. “I guess that’s part of the problem I have with where it is at this point, because it’s all up in the air. You know, there’s no secure funding for it from what we can tell.”

He said he wouldn’t mind putting it on the warrant but wants it separated from the rest of the requests from social services.

Hanscom told Powers to put the $10,000 in a separate article “to see if the people approve it.”


“We don’t want to automatically cut them a check if they’re not going to continue to exist,” she said.

Morton agreed.

“That’s the concern, isn’t it?” Hanscom asked. “We don’t know what their existing ability is going to be.”

At first, Morton suggested placing it on the warrant with a board recommendation that it ought not to be approved, and then hold a special town meeting for the money “once there’s a plan in place.”

Selectman Gary Wight agreed with keeping the article separate, but left to voters to decide.

“There should definitely be some discussion of it,” he said.


That prompted Morton to suggest making no recommendation.

Starting from a crystal structure in Alexandria, relaxed with PBE, the XRD peak list of PmNdNi was calculated for Cu Kα X-rays.
Intensities are scaled so that the largest is 100.

Structure:
a b c (Å): 3.5119 3.5119 12.8588
angles (deg): 90.00 90.00 90.00
Atoms (fractional coordinates):
Pm 0.0000 0.0000 0.0000
Pm 0.5000 0.5000 0.5000
Nd 0.0000 0.0000 0.7416
Nd 0.5000 0.5000 0.2416
Ni 0.0000 0.0000 0.3741
Ni 0.5000 0.5000 0.8741

Top 8 peaks for 2θ from 10° to 90°, in order of rising 2θ:
2θ/deg, Rel. int.
26.3, 39
27.8, 24
33.0, 100
36.2, 60
43.6, 33
46.2, 24
52.1, 21
63.0, 30

Starting from a crystal structure in Alexandria, relaxed with PBE, the XRD peak list of PmNdNi was calculated for Cu Kα X-rays.
Intensities are scaled so that the largest is 100.

Structure:
a b c (Å): 12.5506 3.7925 8.2582
angles (deg): 90.00 126.60 90.00
Atoms (fractional coordinates):
Pm 0.0000 0.0000 0.0000
Pm 0.0827 0.5000 0.6888
Pm 0.5000 0.5000 0.0000
Pm 0.5827 0.0000 0.6888
Nd 0.2579 0.5000 0.4636
Nd 0.3375 0.0000 0.1507
Nd 0.7579 0.0000 0.4636
Nd 0.8375 0.5000 0.1507
Ni 0.0456 0.0000 0.3973
Ni 0.2935 0.0000 0.7560
Ni 0.5456 0.5000 0.3973
Ni 0.7935 0.5000 0.7560

Top 8 peaks for 2θ from 10° to 90°, in order of rising 2θ:
2θ/deg, Rel. int.
27.9, 42
29.0, 51
31.0, 47
31.9, 100
32.9, 59
33.2, 50
35.7, 62
41.0, 37

Starting from a crystal structure in Alexandria, relaxed with PBE, the XRD peak list of PrNd3Ni8 was calculated for Cu Kα X-rays.
Intensities are scaled so that the largest is 100.

Structure:
a b c (Å): 8.9823 8.9823 8.9823
angles (deg): 33.51 33.51 33.51
Atoms (fractional coordinates):
Pr 0.0000 0.0000 0.0000
Nd 0.1251 0.1251 0.1251
Nd 0.4999 0.4999 0.4999
Nd 0.6248 0.6248 0.6248
Ni 0.0624 0.0624 0.5617
Ni 0.0624 0.5617 0.0624
Ni 0.0627 0.5627 0.5627
Ni 0.3124 0.3124 0.3124
Ni 0.5617 0.0624 0.0624
Ni 0.5627 0.0627 0.5627
Ni 0.5627 0.5627 0.0627
Ni 0.8124 0.8124 0.8124

Top 8 peaks for 2θ from 10° to 90°, in order of rising 2θ:
2θ/deg, Rel. int.
21.0, 8
34.6, 59
40.8, 100
42.7, 18
62.0, 22
66.3, 30
73.0, 23
83.4, 9

Starting from a crystal structure in Alexandria, relaxed with PBE, the XRD peak list of Pr2NdNi9 was calculated for Cu Kα X-rays.
Intensities are scaled so that the largest is 100.

Structure:
a b c (Å): 8.8006 8.8006 8.8006
angles (deg): 33.35 33.35 33.35
Atoms (fractional coordinates):
Pr 0.1385 0.1385 0.1385
Pr 0.8615 0.8615 0.8615
Nd 0.0000 0.0000 0.0000
Ni 0.0815 0.5796 0.5796
Ni 0.3327 0.3327 0.3327
Ni 0.4204 0.4204 0.9185
Ni 0.4204 0.9185 0.4204
Ni 0.5000 0.5000 0.5000
Ni 0.5796 0.0815 0.5796
Ni 0.5796 0.5796 0.0815
Ni 0.6673 0.6673 0.6673
Ni 0.9185 0.4204 0.4204

Top 8 peaks for 2θ from 10° to 90°, in order of rising 2θ:
2θ/deg, Rel. int.
32.4, 44
35.4, 38
35.6, 47
41.5, 36
41.9, 100
45.3, 16
68.2, 20
75.3, 20

Starting from a crystal structure in Alexandria, relaxed with PBE, the XRD peak list of PrNdSi2Ni2 was calculated for Cu Kα X-rays.
Intensities are scaled so that the largest is 100.

Structure:
a b c (Å): 4.0191 4.0191 8.5326

Hanscom liked the idea and instructed Powers to make the funding request a separate article without a recommendation from selectmen.

**The entry is interrupted by materials data:**
- - -
This entry pairs a crystal structure of Sr3MnFeO7 with its calculated powder XRD pattern. Radiation: Cu Ka. Structure: a DFT-relaxed cell (GGA+U, Alexandria).

Largest 10 diffraction maxima, by intensity, 10 to 90 degrees two-theta:
two_theta	d_spacing	I (rel.)
31.8	2.812	100
32.4	2.762	68
46.5	1.953	48
57.4	1.604	37
42.3	2.138	24
66.5	1.406	16
44.7	2.026	15
67.9	1.381	15
56.3	1.633	15
77.2	1.235	11

Structural model:
```
data_Sr3MnFeO7
_chemical_formula_sum 'Sr3 Mn1 Fe1 O7'
_cell_length_a 10.498
_cell_length_b 10.498
_cell_length_c 10.498
_cell_angle_alpha 158.56
_cell_angle_beta 158.56
_cell_angle_gamma 30.51
_symmetry_space_group_name_H-M 'P 1'
_symmetry_Int_Tables_number 1
loop_
_symmetry_equiv_pos_as_xyz
'x,y,z'
loop_
_atom_site_label
_atom_site_fract_x
_atom_site_fract_y
_atom_site_fract_z
Sr1 0.000 0.000 0.000
Sr2 0.182 0.182 0.000
Sr3 0.365 0.365 0.000
Mn1 0.585 0.585 0.000
Fe1 0.779 0.779 0.000
O1 0.087 0.587 0.500
O2 0.279 0.779 0.500
O3 0.489 0.489 0.000
O4 0.587 0.087 0.500
O5 0.683 0.683 0.000
O6 0.779 0.279 0.500
O7 0.876 0.876 0.000
```

* * * * *

1.
Starting from a GGA-PBE-relaxed structure, the PXRD pattern of Ba14Cd6Rh3 was simulated for Cu Ka.
No peak broadening, texture or thermal motion is included.

Main lines, in order of rising 2θ (2θ = 10–90°):
2θ/deg  I (rel.)  index
13.88  179  1 0 1
25.09  410  1 2 1
27.92  1000  0 3 1
29.58  242  2 2 0
31.72  150  1 2 2
45.04  282  3 3 0

Structure:
Unit cell a=12.0778 b=12.0778 c=8.0503 alpha=90.00 beta=90.00 gamma=120.00
Space group P3m1 (No. 156)
One atom of each set of equivalent atoms:
Ba (0.0000, 0.0000, 0.0000) [1 per cell]
Ba (0.1021, 0.5510, 0.6213) [3 per cell]
Ba (0.2174, 0.4348, 0.1499) [3 per cell]
Ba (0.2562, 0.1281, 0.4222) [3 per cell]
Ba (0.4093, 0.2046, 0.9185) [3 per cell]
Ba (0.6667, 0.3333, 0.4907) [1 per cell]
Cd (0.1304, 0.2607, 0.7198) [3 per cell]
Cd (0.5372, 0.0744, 0.2139) [3 per cell]
Rh (0.0000, 0.0000, 0.6300) [1 per cell]
Rh (0.3333, 0.6667, 0.3909) [1 per cell]
Rh (0.6667, 0.3333, 0.1202) [1 per cell]

***

2.
Starting from a GGA-PBE-relaxed structure, the PXRD pattern of Ba2CdSn4Rh3 was simulated for Cu Ka.
No peak broadening, texture or thermal motion is included.

Main lines, in order of rising 2θ (2θ = 10–90°):
2θ/deg  I (rel.)  index
30.76  577  1 0 3
31.09  1000  1 1 2
37.68  761  2 0 0
42.41  318  1 1 4
49.40  310  2 1 3
54.35  269  2 2 0

Structure:
Unit cell a=4.7749 b=4.7749 c=10.9905 alpha=90.00 beta=90.00 gamma=90.00
Space group P-4m2 (No. 115)
One atom of each set of equivalent atoms:
Ba (0.0000, 0.5000, 0.2491) [2 per cell]
Cd (0.0000, 0.0000, 0.5000) [1 per cell]
Sn (0.0000, 0.0000, 0.0000) [1 per cell]
Sn (0.0000, 0.5000, 0.6373) [2 per cell]
Sn (0.5000, 0.5000, 0.0000) [1 per cell]
Rh (0.0000, 0.5000, 0.8818) [2 per cell]
Rh (0.5000, 0.5000, 0.5000) [1 per cell]

***

3.
Starting from a GGA-PBE-relaxed structure, the PXRD pattern of Ba11Cd6Sb12 was simulated for Cu Ka.
No peak broadening, texture or thermal motion is included.
- - -

Hanscom asked Powers to contact Roma and tell him to come prepared to educate town meeting voters about their plan to continue operating the shuttle service.

“I think that Pat said the total cost of the program was around $170,000 a year,” Morton said.

• Unrelated to this article: calculated crystals:
____________
Diffraction record for MnV2Re. The X-ray diffraction stick pattern is simulated, not measured: it uses a cell relaxed with PBE and CuKα.
Intensities are scaled so that the largest is 100.

Principal peaks in the range 2θ = 10–80°, in order of rising 2θ:
| 2θ (°) | d_spacing | I_rel | index |
| --- | --- | --- | --- |
| 10.62 | 8.333 | 38.8 | 0 0 1 |
| 23.67 | 3.759 | 17.3 | 1 0 1 |
| 30.17 | 2.962 | 22.2 | 1 0 2 |
| 38.58 | 2.333 | 11.9 | 1 1 1 |
| 42.95 | 2.106 | 25.4 | 2 0 0 |
| 43.09 | 2.099 | 100.0 | 1 1 2 |
| 43.44 | 2.083 | 24.0 | 0 0 4 |
| 62.74 | 1.481 | 15.4 | 2 0 4 |
| 78.78 | 1.215 | 24.0 | 2 2 0 |
| 79.48 | 1.206 | 14.9 | 1 1 6 |

Structural model:
Cell lengths 4.2116, 2.9763, 8.3327 Å; angles 90.00, 90.00, 90.00 degrees
Space group Pmma (No. 51)
Asymmetric unit:
Mn  0.2500  0.0000  0.1205 [2 per cell]
V  0.2500  0.5000  0.3674 [2 per cell]
V  0.2500  0.5000  0.8841 [2 per cell]
Re  0.2500  0.0000  0.6300 [2 per cell]



Diffraction record for CsLaP2. The X-ray diffraction stick pattern is simulated, not measured: it uses a cell relaxed with PBE and CuKα.
Intensities are scaled so that the largest is 100.

Principal peaks in the range 2θ = 10–80°, in order of rising 2θ:
| 2θ (°) | d_spacing | I_rel | index |
| --- | --- | --- | --- |
| 18.73 | 4.737 | 23.6 | 0 0 4 |
| 23.38 | 3.805 | 100.0 | 1 1 2 |
| 30.42 | 2.938 | 24.2 | 2 0 0 |
| 35.71 | 2.514 | 33.2 | 1 1 6 |
| 35.97 | 2.497 | 33.9 | 2 0 4 |
| 47.80 | 1.903 | 19.7 | 2 2 4 |
| 49.43 | 1.844 | 12.4 | 2 0 8 |
| 50.02 | 1.824 | 25.1 | 3 1 2 |
| 53.12 | 1.724 | 10.5 | 1 1 10 |
| 57.55 | 1.602 | 16.5 | 3 1 6 |

Structural model:
Cell lengths 5.8764, 5.8764, 18.9481 Å; angles 90.00, 90.00, 90.00 degrees
Space group I-42d (No. 122)
Asymmetric unit:
Cs  0.0000  0.0000  0.0000 [4 per cell]
La  0.0000  0.0000  0.5000 [4 per cell]
P  0.0531  0.2500  0.6250 [8 per cell]



Diffraction record for YSn2O4. The X-ray diffraction stick pattern is simulated, not measured: it uses a cell relaxed with PBE and CuKα.
Intensities are scaled so that the largest is 100.

Principal peaks in the range 2θ = 10–80°, in order of rising 2θ:
| 2θ (°) | d_spacing | I_rel | index |
| --- | --- | --- | --- |
| 16.70 | 5.310 | 9.8 | 1 0 1 |
| 26.52 | 3.361 | 9.6 | 1 1 2 |
| 29.04 | 3.075 | 32.7 | 1 0 3 |
| 33.78 | 2.654 | 100.0 | 2 0 2 |
| 45.01 | 2.014 | 17.2 | 1 0 5 |
| 51.64 | 1.770 | 11.4 | 3 0 3 |
| 54.60 | 1.681 | 25.3 | 2 2 4 |
| 54.73 | 1.677 | 14.9 | 2 3 1 |
| 60.47 | 1.531 | 9.6 | 4 0 0 |
| 71.09 | 1.326 | 11.7 | 4 2 2 |

Structural model:
Cell lengths 6.1227, 6.1227, 10.6670 Å; angles 90.00, 90.00, 90.00 degrees
Space group I4_1/a (No. 88, origin choice 2)
Asymmetric unit:
Y  0.0000  0.2500  0.1250 [4 per cell]
Sn  0.0000  0.0000  0.5000 [8 per cell]
O  0.1765  0.4277  0.3221 [16 per cell]



Diffraction record for AcGaNiH. The X-ray diffraction stick pattern is simulated, not measured: it uses a cell relaxed with PBE and CuKα.
Intensities are scaled so that the largest is 100.
____________

“So unless they get some funding from somewhere, that ($10,000 from Newry) isn’t going to help them very much,” Hanscom said. “But they do get businesses and (Sunday River Ski Resort) to help them.”

“We don’t know what those figures are either,” Morton said.


He said other resort communities have major businesses that supply their own shuttle services and that, perhaps, a private investor could successfully run the program or local businesses could on an as-needed basis.

“During the week they’re still on the same schedule — like this week — and it’s empty most of the time, or one or two people at the most,” Morton said.

Powers said the Bethel Area Chamber of Commerce used to run the shuttle service and provided ridership statistics.